According to many psychologists, parents who raise good children tend to do these five things

Here the article breaks off for records of crystals:
# 1
The following is a DFT calculation (PBE) of a relaxed structure of GaSiNF2.

Calculated values
- ΔE to the lowest computed polymorph: 2.83 eV per formula unit
- D(E_F): 0.05 states/eV per atom
- Crystal system: tetragonal
- DFT total energy: -4.70 eV per atom

Structure (POSCAR):
```
GaSiNF2
1.0
-0.170 -2.133 -3.314
1.556 -3.084 1.905
-3.580 -1.212 0.963
Si N Ga F
1 1 1 2
Cartesian
-1.097 -3.214 -0.223
-1.790 -0.606 0.482
0.000 0.000 0.000
0.778 -1.542 0.952
-0.085 -1.066 -1.657
```

***

# 2
The following is a DFT calculation (PBE) of a relaxed structure of ZnCoAg2.

Calculated values
- D(E_F): 0.80 states/eV per atom
- Crystal system: tetragonal
- Formation energy from the elements: 1.0 eV/f.u.
- DFT total energy: -3.28 eV per atom

Structure (POSCAR):
```
ZnCoAg2
1.0
2.791 0.429 0.000
-0.431 2.791 0.000
0.000 0.000 7.692
Ag Co Zn
2 1 1
Cartesian
0.000 0.000 0.039
0.000 0.000 3.807
1.180 1.610 1.923
1.180 1.610 5.769
```

* * * * *

No. 1
10
Lattice="2.799 1.616 4.534 -2.799 1.616 4.534 0.000 -3.232 4.534" Properties=species:S:1:pos:R:3 comment="LaOsN3 PBE-GGA relaxed" spacegroup=R-3c formation_energy_uncorrected_ev_per_atom=-0.370 pbc="T T T"
La 0.000 0.000 3.400
La 0.000 0.000 10.201
Os 0.000 0.000 0.000
Os 0.000 0.000 6.801
N -1.523 0.595 5.667
N -1.276 -1.021 7.934
N 0.246 -1.616 5.667
N -0.246 1.616 7.934
N 1.276 1.021 5.667
N 1.523 -0.595 7.934


No. 2
5
Lattice="3.977 0.000 0.000 0.000 3.977 0.000 0.000 0.000 4.666" Properties=species:S:1:pos:R:3 comment="LaOsN3 PBE-GGA relaxed" spacegroup=P4mm formation_energy_uncorrected_ev_per_atom=0.543 pbc="T T T"
La 0.000 0.000 0.000
Os 1.989 1.989 1.958
N 0.000 0.000 2.300
N 0.000 1.989 2.013
N 1.989 0.000 2.013


No. 3
10
Lattice="4.325 0.000 0.000 -1.398 6.539 0.000 -0.149 -0.206 6.784" Properties=species:S:1:pos:R:3 comment="LaOsN3 PBE-GGA relaxed" spacegroup=P1 formation_energy_uncorrected_ev_per_atom=-0.260 pbc="T T T"
La 0.000 0.000 0.000
La 0.749 4.393 3.855
Os 0.130 3.789 0.159
Os 1.979 2.509 6.201
N -0.120 1.830 3.204
N 0.125 4.896 1.573
N 1.958 0.714 6.151
N 3.679 0.869 2.948
N 3.068 3.993 5.469
N 2.930 5.115 4.680


No. 4
18
Lattice="6.767 0.000 0.000 0.000 7.462 0.000 -6.676 0.000 9.809" Properties=species:S:1:pos:R:3 comment="La6Os2N PBE-GGA relaxed" spacegroup=P2_1/c formation_energy_uncorrected_ev_per_atom=-0.419 pbc="T T T"
La -0.819 0.414 2.375
La -4.157 3.317 7.280
La 1.130 5.137 0.652
La -2.208 6.056 5.556
La 2.127 1.229 0.605
La -1.211 2.502 5.509
La 1.303 4.960 4.300
La -2.035 6.233 9.205
La 2.300 1.406 4.253
La -1.038 2.325 9.158
La 4.248 4.145 2.530
La 0.910 7.048 7.434
Os -3.054 0.754 7.381
Os 0.284 2.977 2.477
Os -0.192 4.485 7.333
Os 3.145 6.708 2.428
N 0.000 0.000 0.000
N -3.338 3.731 4.905


No. 5
20
Lattice="4.830 0.000 0.000 0.000 10.034 0.000 0.000 0.000 6.246" Properties=species:S:1:pos:R:3 comment="LaOsN3 PBE-GGA relaxed" spacegroup=Pnma formation_energy_uncorrected_ev_per_atom=-0.256 pbc="T T T"
La 0.000 0.000 0.000
La 0.000 5.017 0.000
La 2.415 0.000 3.123
One of the effects of the profound technological changes of our time lies in the fact that today's children grow up accompanied by a multitude of different instruments and games, able to keep them entertained for hours, without making the constant involvement of parents necessary.
/*
# FeIrN2 (PBE, optimized geometry)
data_FeIrN2
_chemical_formula_sum 'Fe1 Ir1 N2'
_cell_length_a 6.4063
_cell_length_b 6.4063
_cell_length_c 6.4063
_cell_angle_alpha 24.51
_cell_angle_beta 24.51
_cell_angle_gamma 24.51
_space_group_name_H-M_alt 'P 1'
_space_group_IT_number 1
loop_
_space_group_symop_operation_xyz
'x,y,z'
loop_
_atom_site_label
_atom_site_type_symbol
_atom_site_fract_x
_atom_site_fract_y
_atom_site_fract_z
Fe1 Fe 0.0000 0.0000 0.0000
Ir1 Ir 0.5000 0.5000 0.5000
N1 N 0.3951 0.3951 0.3951
N2 N 0.6049 0.6049 0.6049
# Energy above the lowest structure with this stoichiometry ... 0 meV per atom

Material: FeNiIrN2
Method: DFT, PBE
State: optimized geometry

Geometry as CIF:
```
data_FeNiIrN2
_chemical_formula_sum 'Fe1 Ni1 Ir1 N2'
_cell_length_a 3.6028
_cell_length_b 3.6028
_cell_length_c 4.6979
_cell_angle_alpha 90.00
_cell_angle_beta 90.00
_cell_angle_gamma 90.00
_space_group_name_H-M_alt 'P 1'
_space_group_IT_number 1
loop_
_space_group_symop_operation_xyz
'x,y,z'
loop_
_atom_site_label
_atom_site_type_symbol
_atom_site_fract_x
_atom_site_fract_y
_atom_site_fract_z
Fe1 Fe 0.0000 0.0000 0.0000
Ni1 Ni 0.0000 0.0000 0.5000
Ir1 Ir 0.5000 0.5000 0.0000
N1 N 0.0000 0.5000 0.5000
N2 N 0.5000 0.0000 0.5000
```

Material: FeNi2IrN
Method: DFT, PBE
State: optimized geometry

Geometry as CIF:
```
data_FeNi2IrN
_chemical_formula_sum 'Fe1 Ni2 Ir1 N1'
_cell_length_a 3.7913
_cell_length_b 3.7913
_cell_length_c 3.8273
_cell_angle_alpha 90.00
_cell_angle_beta 90.00
_cell_angle_gamma 90.00
_space_group_name_H-M_alt 'P 1'
_space_group_IT_number 1
loop_
_space_group_symop_operation_xyz
'x,y,z'
loop_
_atom_site_label
_atom_site_type_symbol
_atom_site_fract_x
_atom_site_fract_y
_atom_site_fract_z
Fe1 Fe 0.0000 0.0000 0.0000
Ni1 Ni 0.0000 0.5000 0.5000
Ni2 Ni 0.5000 0.0000 0.5000
Ir1 Ir 0.5000 0.5000 0.0000
N1 N 0.0000 0.0000 0.5000
```

Material: Fe2IrPdN
Method: DFT, PBE
State: optimized geometry

Geometry as CIF:
```
data_Fe2IrPdN
_chemical_formula_sum 'Fe2 Ir1 Pd1 N1'
_cell_length_a 3.9215
_cell_length_b 3.9215
_cell_length_c 3.9960
_cell_angle_alpha 90.00
_cell_angle_beta 90.00
_cell_angle_gamma 90.00
_space_group_name_H-M_alt 'P 1'
_space_group_IT_number 1
loop_
_space_group_symop_operation_xyz
'x,y,z'
loop_
_atom_site_label
_atom_site_type_symbol
_atom_site_fract_x
_atom_site_fract_y
_atom_site_fract_z
Fe1 Fe 0.0000 0.5000 0.0000
Fe2 Fe 0.5000 0.0000 0.0000
Ir1 Ir 0.0000 0.0000 0.5000
Pd1 Pd 0.5000 0.5000 0.5000
N1 N 0.0000 0.0000 0.0000
```

| no. | formation energy (no corrections) (kJ/mol of formula units) | calculated total energy (eV/atom) | total magnetization (μB per cell) |
| --- | --- | --- | --- |
| 1 | 98 | -8.239 | 1.14 |
| 2 | 800 | -6.292 | 5.24 |
| 3 | 51 | -7.336 | 3.77 |
| 4 | 38 | -7.783 | 5.70 |

* * * * *

Record 1
! Nd3PdCl3 | Alexandria via LeMat-Bulk | GGA-PBE | relaxed; values from VASP
! Formation energy without anion corrections   -146 kJ per mole of atoms
! SG   I4_132, No. 214
! Total magnetization   0.000 μB per atom
*/
This has inevitably led to a change in education and in the relationship between parents and children, which has given rise to a thousand doubts about the effectiveness of today's educational models.
Psychologists at Harvard University have tried to give answers to these questions and they have discovered that there are five elements that form the basis for the healthy and positive raising of children.

- 1. SPENDING QUALITY TIME WITH YOUR CHILDREN. Children need to communicate openly with their parents, to be heard and to do the things they love with them; in a word, to share experiences and ideas with them - something that no Xbox could ever do. In this way, they will remember their childhood as a positive and beautiful phase, and they will become kind and thoughtful people. You do not need much: just read a story to your children before going to bed, play their favorite games, ask them questions about their day - what was the best and worst part, what they learned, etc.
- 2. BEING A MORAL EXAMPLE AND A MENTOR FOR YOUR CHILDREN. Children tend to replicate the behaviors they see around them, especially those of their parents. Therefore, it is important to be fair, rational and honest about yourself in front of your child: the goal is to teach him or her not only good manners, humility, and honesty, but also to take care of themselves. In this way, you will also gain their trust and respect. It is, therefore, necessary to admit one's mistakes, and to speak openly with your child; apologize and demonstrate how you want to make amends and prevent repeating the same mistake, explaining to your child what you have learned.

- 3. ENCOURAGE YOUR CHILDREN TO HAVE HIGH ETHICAL EXPECTATIONS, BY TAKING CARE OF OTHERS. Human beings need to socialize, and they must learn to do this as a child, by taking care of the people around them and avoiding selfish behavior. This is shown to be a priority when children are taught and encouraged to have high ethical expectations. In fact, children must be taught to do the right thing even when it is difficult, and to respect responsibilities and obligations. Change the message you send to your child every day into "The most important thing is that you are kind to others and happy." Invite him or her to consider the consequences of their actions toward others and to always try to find a positive solution for everyone.
- 4. TEACHING YOUR CHILDREN TO BE GRATEFUL. Gratitude has a double beneficial effect on those who practice it: not only are these people helpful, generous, compassionate, and charitable - that is to say, better human beings - but they tend to be happier and healthier. However, it is also necessary for children to distinguish between duties and being courteous. As Harvard psychologists claim, "Expect children to regularly help with household chores and only praise rare acts of courtesy. When these types of routine actions are simply expected and not rewarded, they are more likely to become rooted in their everyday activity." Therefore, it is good to encourage your children to be grateful and to receive gratitude for their kindness, by first being a good example yourself.
## Crystal structures, kept here for reference
~~~
4
Lattice="-1.9019 1.9019 4.5725 1.9019 -1.9019 4.5725 1.9019 1.9019 -4.5725" Properties=species:S:1:pos:R:3 comment="PBE Sc2CoRe, optimized geometry" crystal_system=tetragonal spacegroup="No. 119" formation_energy_ev_per_atom=0.102 vol_a3_per_atom=16.540 pbc="T T T"
Sc 0.0000 0.0000 0.0000
Sc 0.0000 1.9019 2.2863
Co 1.9019 0.0000 2.2863
Re 0.0000 0.0000 4.5725
~~~
- 5. EXPAND THE HORIZONS OF YOUR CHILDREN. Usually, children worry about a small circle of people - their family and close friends - but it is crucial that over time the number of people who deserve their attention be expanded so that they can learn the concept of community and the common good. Therefore, you can encourage your child to consider the perspectives and feelings of others, by discussing the problems that affect other groups of people.